Entries:
____________
# 1
Molecular formula: C11H9Cl4N2O3OsS
Method: DFT, ωB97M-V with the def2-TZVPD basis set

```
31
C11H9Cl4N2O3OsS, DFT ωB97M-V with the def2-TZVPD basis set
C -1.35343 0.42578 -1.36495
H 0.56020 1.65387 -2.96523
N -0.29925 2.16151 -2.83694
H -2.67057 3.98445 -3.51276
Cl -0.43599 -4.47837 0.05258
H -1.67529 -0.66331 -3.17825
H 0.24183 4.20024 -2.87478
H -3.05195 2.47574 -1.39344
C -1.92995 3.85388 -2.72663
C -1.06890 -0.74583 -2.27298
C 1.39151 -4.04778 2.02524
C -0.52156 3.54462 -3.28982
C 0.45869 -3.52590 1.15568
H -1.93600 4.73168 -2.08445
C 0.24214 -2.14175 1.18662
Os -0.73135 0.47390 0.61744
O -0.62854 -1.47788 0.46828
H -0.01747 -0.77782 -2.56169
C 0.94947 -1.30809 2.05824
O 0.62159 -0.04240 1.95469
C 2.10382 -3.20062 2.92518
C 1.88667 -1.83591 2.95311
O -2.35515 0.37545 -0.47234
Cl 3.25020 -3.88823 3.98625
Cl 1.69760 -5.72918 2.02894
Cl 2.71269 -0.77894 4.01159
H -0.48649 3.60065 -4.37473
N -2.22625 2.64395 -1.94905
S -0.46911 2.46864 1.01368
C -1.26833 1.75386 -2.04519
H -1.31593 -1.67153 -1.76361
```

Results
Spin multiplicity   1
Maximum force   1.2 eV Å⁻¹
Total energy   -3089.1836 hartree
Frontier orbital gap (alpha / beta)   6.65 / 5.54 eV
LUMO (alpha / beta)   -5.0 / -5.9 eV
Charge   +1
Energy above the lowest of the compared OMol25 structures with the same formula, charge and spin   0.004 eV

Partial atomic charges computed with the Mulliken method, in multiples of e:
1 C 1.55
2 H 0.23
3 N -0.07
4 H 0.31
5 Cl -0.15
6 H 0.39
7 H 0.30
8 H 0.25
9 C -0.45
10 C -1.43
11 C 0.43
12 C -0.42
13 C 0.00
14 H 0.30
15 C 0.02
16 Os 0.95
17 O -0.57
18 H 0.33
19 C 0.53
20 O -0.67
21 C 0.46
22 C -0.03
23 O -0.74
24 Cl -0.13
25 Cl -0.14
26 Cl -0.15
27 H 0.30
28 N 0.00
29 S -0.16
30 C -0.67
31 H 0.43

---

# 2
Molecular formula: C26H28AlCl5NO5P
Method: DFT, ωB97M-V with the def2-TZVPD basis set

```
67
C26H28AlCl5NO5P, DFT ωB97M-V with the def2-TZVPD basis set
H 5.08060 -0.86006 0.81760
H 5.96196 -2.92560 -0.28871
C -2.86745 2.49285 0.61806
C -3.44675 -0.21005 -0.83432
H -0.01474 -2.91338 -1.33051
H -1.45880 -1.25783 3.24834
H -5.25194 -3.00857 2.25460
C 2.11187 3.89254 -0.48260
O 1.85887 -2.10114 -0.93434
H 5.17070 -3.33993 1.23092
O -1.21761 0.05172 1.00531
C -4.39278 -1.72007 0.78568
O -1.30685 2.33038 -2.64435
Cl 2.80749 4.44676 -1.94322
Cl 1.03534 5.38075 3.08576
N -3.02855 0.93339 -1.28362
H -3.56539 1.89578 1.19339
Cl 0.19475 2.32401 3.28136
H -1.14890 4.10581 -3.72026
C -1.53681 4.46723 0.33615
C 0.77933 -5.00342 0.75136
H 0.40770 3.38390 -3.21731
P 1.72563 -1.63193 0.55633
H -2.69465 4.03363 2.09237
H 0.32176 -2.86896 -3.81367
H -3.16960 1.08584 -2.27869
H -5.20457 -1.85585 0.08075
H 4.33895 -3.61644 -0.32221
Al 0.44382 0.32986 0.93704
H 1.88951 -2.08391 -3.58957
C 0.69190 -2.23409 -1.81152
Cl 2.35273 6.40289 0.44797
C -2.47207 2.08200 -0.64372
H 1.05142 -6.02188 1.03042
C -1.14822 4.06255 -0.93389
H 0.23729 -1.24385 -1.91130
H -0.50023 4.69319 -1.52755
H -1.17334 5.41288 0.71987
C 5.00180 -2.94718 0.22840
H 1.63240 -3.74192 -3.01557
C -0.60313 3.17428 -3.56936
C -2.28723 -1.38003 2.56155
H 2.49754 -4.04227 1.67609
O 3.18621 -1.55593 1.07484
C -1.61666 2.85572 -1.43462
C 1.90338 4.76518 0.59525
H 1.09901 -4.21357 2.74649
C -3.33794 -0.84427 0.45221
C -3.36395 -2.18326 2.88881
C 1.16935 -2.76367 -3.13599
C 0.94428 2.97904 1.86436
O 0.94659 -2.66336 1.43217
C 1.72252 2.57167 -0.33667
C 4.43875 -1.55444 0.28496
H -0.30758 -4.92688 0.77869
H -0.55038 2.61794 -4.49868
C 1.13262 2.10137 0.81931
C 1.40942 -4.03985 1.72081
C -2.25338 -0.71744 1.34022
C -2.38673 3.69060 1.11475
H -3.99852 -0.77440 -1.58098
H 4.21077 -1.15676 -0.70189
C 1.31717 4.31349 1.78583
H -3.37540 -2.68649 3.84685
Cl 1.89928 1.41053 -1.62914
C -4.42246 -2.36589 1.99730
H 1.12989 -4.83317 -0.26789
```

Results
Spin multiplicity   1
Maximum force   0.3 eV Å⁻¹
Total energy   -4322.8860 hartree
Frontier orbital gap   7.53 eV
LUMO   -6.5 eV
Charge   +2

Partial atomic charges computed with the Mulliken method, in multiples of e:
1 H 0.40
2 H 0.43
3 C 0.11
____________

Request:
What is needed: filter the notes further above: keep the lines with the word "above".

Written answer:
Energy above the lowest of the compared OMol25 structures with the same formula, charge and spin   0.004 eV